“O my God, I cry out by day, but you do not answer, by night, and am not silent.”
~ Psalm 22:2


Hi James and Ellen,

Here the text breaks off for materials data
/*
Record 1
The following is a PBE calculation of a geometry-optimized MgGaP structure, from Alexandria.

abc: 3.627 15.456 4.175
angles: 90.00 90.00 90.00
Element x y z (fractional)
Mg1 0.000 0.679 0.250
Mg2 0.000 0.321 0.750
Mg3 0.500 0.179 0.250
Mg4 0.500 0.821 0.750
Ga1 0.000 0.456 0.250
Ga2 0.000 0.544 0.750
Ga3 0.500 0.956 0.250
Ga4 0.500 0.044 0.750
P1 0.000 0.849 0.250
P2 0.000 0.151 0.750
P3 0.500 0.349 0.250
P4 0.500 0.651 0.750

Calculated values
formation enthalpy at 0 K: -358.4 meV per atom
energy above the lowest structure with this stoichiometry: 0.01 eV/f.u.

Record 2
The following is a PBE calculation of a geometry-optimized MgGaP structure, from Alexandria.

abc: 3.789 8.650 3.592
angles: 90.00 90.00 90.00
Element x y z (fractional)
Mg1 0.000 0.637 0.000
Mg2 0.500 0.363 0.500
Ga1 0.000 0.055 0.000
Ga2 0.500 0.945 0.500
P1 0.000 0.326 0.000
P2 0.500 0.674 0.500

Calculated values
formation enthalpy at 0 K: -333.5 meV per atom
energy above the lowest structure with this stoichiometry: 0.09 eV/f.u.

Record 3
The following is a PBE calculation of a geometry-optimized Mg3GaP structure, from Alexandria.

abc: 4.946 4.946 4.946
angles: 90.00 90.00 90.00
Element x y z (fractional)
P1 0.500 0.500 0.500
Mg1 0.000 0.500 0.000
Mg2 0.000 0.000 0.500
Mg3 0.500 0.000 0.000
Ga1 0.000 0.000 0.000

Calculated values
formation enthalpy at 0 K: 363.1 meV per atom
energy above the lowest structure with this stoichiometry: 1.99 eV/f.u.

Record 4
The following is a PBE calculation of a geometry-optimized Mg3GaP structure, from Alexandria.

abc: 4.886 4.886 4.886
angles: 90.00 90.00 90.00
Element x y z (fractional)
P1 0.000 0.000 0.000
Mg1 0.000 0.500 0.000
Mg2 0.000 0.000 0.500
Mg3 0.500 0.000 0.000
Ga1 0.500 0.500 0.500

Calculated values
formation enthalpy at 0 K: -35.9 meV per atom
energy above the lowest structure with this stoichiometry: 0.00 eV/f.u.

Record 5
The following is a PBE calculation of a geometry-optimized MgGa3P structure, from Alexandria.

abc: 5.014 5.014 5.014
angles: 90.00 90.00 90.00
Element x y z (fractional)
P1 0.500 0.500 0.500
Mg1 0.000 0.000 0.000
Ga1 0.000 0.500 0.000
Ga2 0.000 0.000 0.500
Ga3 0.500 0.000 0.000

Calculated values
formation enthalpy at 0 K: 757.0 meV per atom
energy above the lowest structure with this stoichiometry: 2.44 eV/f.u.

Record 6
The following is a PBE calculation of a geometry-optimized Mg2Ga2P structure, from Alexandria.

abc: 6.738 6.738 4.213
angles: 90.00 90.00 90.00
Element x y z (fractional)
P1 0.000 0.000 0.000
P2 0.500 0.500 0.000
Mg1 0.168 0.668 0.500
Mg2 0.668 0.832 0.500
Mg3 0.832 0.332 0.500
Mg4 0.332 0.168 0.500
Ga1 0.363 0.863 0.000
Ga2 0.863 0.637 0.000
Ga3 0.637 0.137 0.000
Ga4 0.137 0.363 0.000

Calculated values
formation enthalpy at 0 K: -25.6 meV per atom

Record 7
The following is a PBE calculation of a geometry-optimized MgGaP structure, from Alexandria.

abc: 4.290 4.290 9.261
angles: 76.61 76.61 60.00
Element x y z (fractional)
Mg1 0.375 0.375 0.874
Mg2 0.625 0.625 0.126
*/
So much for the materials data

A phrase that has become popular to say when something happens that could only have divinely taken place is ‘God showed up’. When your grandpaa hears a guy or gal say ‘God showed up’, your grandpaa wonders where the guy or gal thinks God was before He suddenly ‘showed up’ to do something that the guy or gal believes could only have taken place because God ‘showed up’ to make it happen. Your grandpaa believes that God – as God the Spirit, is always present and proactively involved in his life. There are times though when your grandpaa senses that the presence of God – as God the Spirit, is muted for one reason or another – which leaves your grandpaa knowing that there is something missing in his life. Your grandpaa invariably has a good idea why God – as God the Spirit, has left your grandpaa with an empty feeling of missing something. There are times – such as when your grandpaa’s attitude becomes negative or pessimistic or after your grandpaa uses harsh or angry words to communicate his feelings or . . ., when it does not surprise your grandpaa that God – as God the Spirit, will ‘sit on His hands’ until your grandpaa asks God – as God the Father, – through God – as God the Son, for His forgiveness and until your grandpaa asks forgiveness from the guy, gal or kid who your grandpaa has offended – if your grandpaa has offended a guy, gal or kid. There are times though when your grandpaa knows – even though your grandpaa really wishes that God – as God the Spirit, would in some way manifest Himself, that God – as God the Spirit, will ‘sit on his hands’ for no apparent reason. When David was going through one of those difficult periods when God was having David endure being victimized by his enemies – at times over prolonged periods of time, through vicious attacks and when it seemed like to him that God – as God the Father, was just ‘sitting on His hands’ and not manifesting Himself to him, David scribed Psalm 22. This psalm song prayer that David scribed to the tune of “The Doe of the Morning” has David asking God – as God the Father, why He is forsaking him, why He seemed so far away and why He is not listening to his prayer groanings. David’s feeling of having been abandoned by God – as God the Father, can be heard in verse 2 where he wrote, “O my God, I cry out by day, but you do not answer, by night, and am not silent.”

If you were ever caught up in a personal chaos, did you desperately cry out to God – as God the Father, for His help? Ask your dad and ma if they have ever urgently cried out to God – as God the Father, for His help to meet a pressing need or resolve a weighty crisis. When David wrote this psalm song prayer that is filled with personal pain and anguish, David felt like he was surrounded by Bashan’s strong bulls that were looking to gore him to death, that he was faced with roaring lions that were wanting to tear him apart, that he was encircled by dogs that were going to overpower him and that he was confronted with wild oryxes that were waiting to run their horns through him. David knew that he had done nothing to have God – as God the Father, suddenly seem like He had deserted him; David just knew that he did not like it that he suddenly felt like he could no longer count on God – as God the Father, to be there for him to save him from his enemies. Because of the feeling that God – as God the Father, ‘had left him’, David felt like he had no more value than a scorned worm, that his life was being poured out like water, that all of his bones were out of joint, that his heart had turned to wax and that it was melting inside of him, that his strength had dried up like a potsherd and that his tongue was sticking to the top of his mouth. David also felt because of feeling that God – as God the Father, ‘had left him’, that guys and gals were staring at him, that they were gloating over him and that they were already casting lots for his clothes. This heart wrenching psalm song prayer that David wrote became the most quoted psalm song by New Testament book authors and characters.

Even though David felt like God – as God the Father had left him ‘in the pits’, David knew without a doubt that God was the Holy One of Israel, that God could be unconditionally trusted to save His own specially chosen guys and gals from their enemies, that God had been there for him from the day that he was born, that God was his real strength, that God will always meet the needs of the poor and that in the end, that God would be Who would be recognized and worshipped by all nations and people groups of guys and gals. Even though David really felt that God – as God the Father, had left him ‘to fight his own battles’, David knew that it was important to get the message out to all future generations of guys and gals about God’s righteousness and saving grace. How do you feel when there is stress ‘drama’ in the life of one of your friends or when there is tension ‘drama’ in the lives of your dad and ma or when there is anxiety ‘drama’ in your own lives? What do you think that it would be like if your friends never have trials, your dad and ma never experience hardships and if you are never tempted? Just as David never stopped praising God no matter what bad things happened to him, your grandmaa and grandpaa are praying that you already know that the presence of God – as God the Spirit, is with you and that the presence of God – as God the Spirit, will never leave you. When your grandma’s doctor recently thought that your grandpaa’s ma was on the verge of dying, your grandmaa and grandpaa drove to Volga, South Dakota to be with your grandpaa’s ma. Your grandpaa’s prayer at this time for his ma is that God will help her to live the final days of her life on planet Earth with a heart that is filled with peace knowing that God – as God the Father, will soon take her to her ‘home’ in heaven to be with Him.

Psalm 22 (928)